

........
No. 1
An optimized crystal structure of Li5Mn7O15. Source: the Materials Project database, functional PBE with a Hubbard U.

Computed properties:
As for the total energy: -6.68 eV/atom. The calculation puts the total moment at 0.889 μB/atom.

The structure in CIF format:
```
data_Li5Mn7O15
_cell_length_a 10.134
_cell_length_b 6.076
_cell_length_c 10.012
_cell_angle_alpha 90.00
_cell_angle_beta 108.60
_cell_angle_gamma 90.00
_symmetry_space_group_name_H-M 'C 1 m 1'
_symmetry_Int_Tables_number 8
loop_
_symmetry_equiv_pos_as_xyz
'x,y,z'
'x,-y,z'
'x+1/2,y+1/2,z'
'x+1/2,-y+1/2,z'
loop_
_atom_site_label
_atom_site_fract_x
_atom_site_fract_y
_atom_site_fract_z
_atom_site_occupancy
Li1 0.000 0.000 0.000 1
Li2 0.004 0.500 0.500 1
Li3 0.060 0.500 0.199 1
Li4 0.120 0.500 0.843 1
Li5 0.134 0.000 0.367 1
Mn1 0.065 0.000 0.683 1
Mn2 0.310 0.500 0.427 1
Mn3 0.316 0.248 0.684 1
Mn4 0.319 0.000 0.940 1
Mn5 0.326 0.238 0.194 1
O1 0.193 0.000 0.575 1
O2 0.194 0.220 0.801 1
O3 0.206 0.279 0.304 1
O4 0.209 0.000 0.068 1
O5 0.209 0.500 0.560 1
O6 0.419 0.500 0.294 1
O7 0.420 0.230 0.055 1
O8 0.425 0.000 0.809 1
O9 0.435 0.282 0.566 1
O10 0.436 0.000 0.306 1
O11 0.439 0.500 0.792 1
```

No. 2
An optimized crystal structure of Li2Mn2O3. Source: the Materials Project database, functional PBE with a Hubbard U.

Computed properties:
As for the total energy: -6.47 eV/atom. The calculation puts the total moment at 0.000 μB/atom.

The structure in CIF format:
```
data_Li2Mn2O3
_cell_length_a 5.998
_cell_length_b 5.466
_cell_length_c 5.434
_cell_angle_alpha 90.00
_cell_angle_beta 114.51
_cell_angle_gamma 90.00
_symmetry_space_group_name_H-M 'P 1 21/c 1'
_symmetry_Int_Tables_number 14
loop_
_symmetry_equiv_pos_as_xyz
'x,y,z'
'-x,-y,-z'
'-x,y+1/2,-z+1/2'
'x,-y+1/2,z+1/2'
loop_
_atom_site_label
_atom_site_fract_x
_atom_site_fract_y
_atom_site_fract_z
_atom_site_occupancy
Li1 0.058 0.154 0.182 1
Mn1 0.353 0.595 0.233 1
O1 0.000 0.000 0.500 1
O2 0.300 0.540 0.606 1
```

No. 3
An optimized crystal structure of Li3MnO4. Source: the Materials Project database, functional PBE with a Hubbard U.

Computed properties:
As for the total energy: -5.76 eV/atom. The calculation puts the total moment at 0.250 μB/atom.

The structure in CIF format:
```
data_Li3MnO4
_cell_length_a 8.205
_cell_length_b 8.205
_cell_length_c 8.205
_cell_angle_alpha 90.00
_cell_angle_beta 90.00
_cell_angle_gamma 90.00
_symmetry_space_group_name_H-M 'I -4 3 m'
_symmetry_Int_Tables_number 217
_symmetry_space_group_name_Hall 'I -4 2 3'
loop_
_atom_site_label
_atom_site_fract_x
_atom_site_fract_y
_atom_site_fract_z
_atom_site_occupancy
Li1 0.111 0.373 0.627 1
Mn1 0.131 0.131 0.869 1
O1 0.114 0.114 0.114 1
O2 0.121 0.121 0.645 1
```

----------

No. 1
# LuBi2BrO4

Crystalline LuBi2BrO4 at its relaxed geometry (PBE, the Materials Project).

Properties
E in eV per atom: -6.234
Energy of formation from the pure elements in kJ/mol of atoms: -227.9

Lattice parameters (Å, degrees): 3.877 3.877 9.276 90.00 90.00 90.00
........
  • Thanks everyone! ;)
  • I also nurse my 20 month old, but I don't add in my calories because I have SO. MUCH. TO. LOSE. I get the calories/nutrition I need and still have a good supply. If I was still exclusively nursing I would eat more, but since he's down to 5-6 times a day and eating plenty of other foods, I don't count them.
  • Thanks everyone for your responses. I think maybe some failed to read what I wrote as I tried to make it clear that I would not be TRYING to lose weight while pregnant. Of course, I would not voluntarily put my child at risk. To suggest so is a bit insulting. I was just curious what other's experiences were. I won't wait…
  • Thanks for all of the replies. To be clear, I will not be trying to lose weight while pregnant. Also, as stated this would be my 5th child (6th pregnancy), so I've been around this block a few times and have always had VERY healthy pregnancies, and yes I have been overweight with all of them. As a previous commenter stated…
  • You are doing a great job mama!!! My guess is your body is just responding to her increased needs-it is doing exactly what it should. She nurses more and the next day or two your supply goes up because she is demanding it. You are doing fine-if she's peeing and pooping and gaining weight steadily I wouldn't fear. Just keep…
  • Is baby on solids yet? I would delay that as much as possible (we do baby-led weaning, you can google it) to help keep up your milk supply. Also if you are hungry try to avoid mindless snacking but have lots of nutrient-dense, healthy fat foods that will keep you filled up (almonds, peanut butter with some fruit etc...).…
  • Hi, I am a fellow BF mom, though my little nurser is now 17 months old. But I have BFed all 4 of my babies exclusively-13 mos, 17, mos, 22 mos and then the current one. Feel free to friend me! As far as losing your supply-just keep nursing as often as possible and be sure to keep up your water intake. If your baby is…
  • Love you too Kylie! Did you see my FB post?
  • Thank you for posting those pictures for me! You're awesome! They are labeled that because they were in a folder with a bunch of other pictures for craigslist. I totally have no good system for keeping my photos organized. Thanks for the encouragement everyone! It IS so helpful to have my hubby along for the ride. It helps…
  • True-I need to learn to stop insulting myself. Half this battle is mental for me and I am never going to get anywhere with that attitude.
Someone pasted data records at this point:
+++
#one
# AsS

An optimized crystal structure of AsS (r²SCAN, the Materials Project).

The structure in CIF format:
```
data_AsS
_cell_length_a 10.193
_cell_length_b 9.828
_cell_length_c 8.696
_cell_angle_alpha 90.00
_cell_angle_beta 97.69
_cell_angle_gamma 90.00
_space_group_name_H-M_alt 'P 1 21/c 1'
_space_group_IT_number 14
loop_
_space_group_symop_operation_xyz
'x,y,z'
'-x,-y,-z'
'-x,y+1/2,-z+1/2'
'x,-y+1/2,z+1/2'
loop_
_atom_site_label
_atom_site_type_symbol
_atom_site_fract_x
_atom_site_fract_y
_atom_site_fract_z
_atom_site_occupancy
As1 As 0.085 0.044 0.322 1
As2 As 0.149 0.655 0.666 1
As3 As 0.316 0.134 0.044 1
As4 As 0.368 0.638 0.840 1
S1 S 0.167 0.216 0.192 1
S2 S 0.197 0.553 0.455 1
S3 S 0.254 0.522 0.006 1
S4 S 0.467 0.025 0.215 1
```

#two
# AsS

An optimized crystal structure of AsS (r²SCAN, the Materials Project).

The structure in CIF format:
```
data_AsS
_cell_length_a 6.780
_cell_length_b 14.077
_cell_length_c 9.974
_cell_angle_alpha 90.00
_cell_angle_beta 113.66
_cell_angle_gamma 90.00
_space_group_name_H-M_alt 'P 1 21/c 1'
_space_group_IT_number 14
loop_
_space_group_symop_operation_xyz
'x,y,z'
'-x,-y,-z'
'-x,y+1/2,-z+1/2'
'x,-y+1/2,z+1/2'
loop_
_atom_site_label
_atom_site_type_symbol
_atom_site_fract_x
_atom_site_fract_y
_atom_site_fract_z
_atom_site_occupancy
As1 As 0.055 0.139 0.421 1
As2 As 0.146 0.016 0.877 1
As3 As 0.178 0.661 0.457 1
As4 As 0.362 0.626 0.184 1
S1 S 0.086 0.223 0.240 1
S2 S 0.130 0.501 0.843 1
S3 S 0.400 0.018 0.786 1
S4 S 0.444 0.706 0.393 1
```

Which one sits at the top of the stability order? #two does.

#one
# Na5P3O10

An optimized crystal structure of Na5P3O10 (r²SCAN, the Materials Project).

The structure in CIF format:
```
data_Na5P3O10
_cell_length_a 9.624
_cell_length_b 5.311
_cell_length_c 18.392
_cell_angle_alpha 90.00
_cell_angle_beta 97.01
_cell_angle_gamma 90.00
_space_group_name_H-M_alt 'C 1 2/c 1'
_space_group_IT_number 15
loop_
_space_group_symop_operation_xyz
'x,y,z'
'-x,-y,-z'
'-x,y,-z+1/2'
'x,-y,z+1/2'
'x+1/2,y+1/2,z'
'-x+1/2,-y+1/2,-z'
'-x+1/2,y+1/2,-z+1/2'
'x+1/2,-y+1/2,z+1/2'
loop_
_atom_site_label
_atom_site_type_symbol
_atom_site_fract_x
_atom_site_fract_y
_atom_site_fract_z
_atom_site_occupancy
Na1 Na 0.075 0.232 0.066 1
Na2 Na 0.216 0.178 0.325 1
Na3 Na 0.250 0.250 0.500 1
P1 P 0.000 0.399 0.750 1
P2 P 0.083 0.272 0.901 1
O1 O 0.043 0.197 0.814 1
O2 O 0.046 0.210 0.563 1
O3 O 0.118 0.450 0.403 1
O4 O 0.125 0.457 0.233 1
O5 O 0.205 0.101 0.925 1
```

#two
# Na5P3O10

An optimized crystal structure of Na5P3O10 (r²SCAN, the Materials Project).

The structure in CIF format:
```
data_Na5P3O10
_cell_length_a 15.890
_cell_length_b 5.175
_cell_length_c 11.123
_cell_angle_alpha 90.00
_cell_angle_beta 92.86
_cell_angle_gamma 90.00
_space_group_name_H-M_alt 'C 1 2/c 1'
_space_group_IT_number 15
loop_
_space_group_symop_operation_xyz
'x,y,z'
'-x,-y,-z'
'-x,y,-z+1/2'
'x,-y,z+1/2'
'x+1/2,y+1/2,z'
'-x+1/2,-y+1/2,-z'
'-x+1/2,y+1/2,-z+1/2'
'x+1/2,-y+1/2,z+1/2'
loop_
_atom_site_label
+++
  • Thanks everyone! You all are so encouraging!
  • Give yourself a break sweetie-YOU.ARE.BEAUTIFUL
  • Calories burned breastfeeding depends on how often you are nursing at this point. If it's just naptime/bedtimes, it is probably less than 300. Type "breastfeeding" into the food search and it will give you multiple options. I don't count in my calories though. I am eating plenty without it and having a 16 mo old there is…
  • Pregnant? ;) Just kidding. Have you taken measurements?
  • My husband was telling me about it today. I personally think that is an awful message to be sending to our children, especially our daughters, whether it is true or not. And while it may be reality in our society it is not that way everywhere and it is a reality that needs to change and will only change as we continue to…
  • My husband and I are taking each other on a cruise when we both reach our goal weight. But I still have about 180 to go and he has just under 100 to go, so it will be a while. And then there is the whole issue of who is going to take care of our four kids (which will probably be 5 or 6 by the time we actually make it…
  • Thanks again everyone! I just checked my blog and this has been my most popular post by far. I hope I have many more awesome progress pictures in the future. I still can't get over my hubby! So thankful for MFP-it has been the single most important change I have made to help with my weight-loss. Love it!!!
<<<
Entry from the Materials Project database: a relaxed structure of GeTePb2Se2 (GGA-PBE).

MP2020-corrected energy (eV/atom): -4.232
Size of the total moment (μB/f.u.): 0.0
SG: P3m1, No. 156

a = 4.3205 Å, b = 4.3205 Å, c = 10.8339 Å
α = 90.00°, β = 90.00°, γ = 120.00°
Fractional positions:
Ge 0.0000 0.0000 0.0000
Te 0.6667 0.3333 0.8585
Pb 0.3333 0.6667 0.6480
Pb 0.6667 0.3333 0.3071
Se 0.0000 0.0000 0.4950
Se 0.3333 0.6667 0.1542



Entry from the Materials Project database: a relaxed structure of GeTe4Pb3 (GGA-PBE).

Size of the total moment (μB/f.u.): 0.0
SG: P4/mmm, No. 123

a = 4.5638 Å, b = 4.5638 Å, c = 12.9166 Å
α = 90.00°, β = 90.00°, γ = 90.00°
Fractional positions:
Ge 0.0000 0.0000 0.0000
Te 0.0000 0.0000 0.2373
Te 0.0000 0.0000 0.7627
Te 0.5000 0.5000 0.0000
Te 0.5000 0.5000 0.5000
Pb 0.0000 0.0000 0.5000
Pb 0.5000 0.5000 0.2470
Pb 0.5000 0.5000 0.7530



Entry from the Materials Project database: a relaxed structure of GeTe2Pb (GGA-PBE).

Size of the total moment (μB/f.u.): 0.0
SG: P4/mmm, No. 123

a = 4.4816 Å, b = 4.4816 Å, c = 6.3420 Å
α = 90.00°, β = 90.00°, γ = 90.00°
Fractional positions:
Ge 0.0000 0.0000 0.0000
Te 0.0000 0.0000 0.5000
Te 0.5000 0.5000 0.0000
Pb 0.5000 0.5000 0.5000



Entry from the Materials Project database: a relaxed structure of GeTe5Pb4 (GGA-PBE).

Size of the total moment (μB/f.u.): 0.0
SG: R-3m, No. 166

a = 18.7199 Å, b = 18.7199 Å, c = 18.7199 Å
α = 14.05°, β = 14.05°, γ = 14.05°
Fractional positions:
Ge 0.0000 0.0000 0.0000
Te 0.0977 0.0977 0.0977
Te 0.3052 0.3052 0.3052
Te 0.5000 0.5000 0.5000
Te 0.6948 0.6948 0.6948
Te 0.9023 0.9023 0.9023
Pb 0.2011 0.2011 0.2011
Pb 0.3965 0.3965 0.3965
Pb 0.6035 0.6035 0.6035
Pb 0.7989 0.7989 0.7989



Entry from the Materials Project database: a relaxed structure of GePd5 (GGA-PBE).

SG: C2/m, No. 12

a = 4.8231 Å, b = 4.8231 Å, c = 8.5341 Å
α = 94.58°, β = 94.58°, γ = 108.92°
Fractional positions:
Ge 0.2239 0.2239 0.2082
Ge 0.7761 0.7761 0.7918
Pd 0.1889 0.8111 0.0000
Pd 0.2055 0.7238 0.3261
Pd 0.2563 0.2563 0.5074
Pd 0.2762 0.7945 0.6739
Pd 0.3452 0.3452 0.8525
Pd 0.6548 0.6548 0.1475
Pd 0.7238 0.2055 0.3261
Pd 0.7437 0.7437 0.4926
Pd 0.7945 0.2762 0.6739
Pd 0.8111 0.1889 0.0000



Entry from the Materials Project database: a relaxed structure of GePd (GGA-PBE).

SG: Pnma, No. 62

a = 5.8484 Å, b = 3.6086 Å, c = 6.3148 Å
α = 90.00°, β = 90.00°, γ = 90.00°
Fractional positions:
Ge 0.1861 0.2500 0.0795
Ge 0.3139 0.7500 0.5795
Ge 0.6861 0.2500 0.4205
Ge 0.8139 0.7500 0.9205
Pd 0.0043 0.2500 0.6903
Pd 0.4957 0.7500 0.1903
Pd 0.5043 0.2500 0.8097
Pd 0.9957 0.7500 0.3097



Entry from the Materials Project database: a relaxed structure of Pm2GePd (GGA-PBE).

SG: Fm-3m, No. 225

a = 5.1523 Å, b = 5.1523 Å, c = 5.1523 Å
α = 60.00°, β = 60.00°, γ = 60.00°
Fractional positions:
Pm 0.2500 0.2500 0.2500
Pm 0.7500 0.7500 0.7500
Ge 0.0000 0.0000 0.0000
Pd 0.5000 0.5000 0.5000



Entry from the Materials Project database: a relaxed structure of PrGePd2 (GGA-PBE).
>>>
The entry goes on
  • Thanks everyone! It is hard to see a difference day-to-day but when I saw the pictures side-by-side last night I was shocked. It was just the motivation-boost I needed to keep pressing forward. My husband has only been exercising for about 2 weeks and he ran 2.5 miles on the treadmill today in 36 minutes. So proud of him!
  • So interested in this discussion as my 8 (almost 9) year old as well is wanting to become a vegetarian. I personally have no desire to do so as well but I do want to respect her and be sure she is still taking in adequate protein levels and is a little more responsible for her own food (in terms of her being sure she is…
  • Well, I am just starting out-have about 180 left to lose. I am doing some calisthenics (push-ups, crunches, jumping jacks and squats) and then I usually do a video, a fave is Prevention's Walk Yourself FIt-there are a few different tracks for that one-a 20 min mile and a half cardio workout, 15 minute mile interval workout…
  • Nursing mama of 4 here. I have nursed all of mine exclusively and am currently nursing my 15 month old. I don't normally add my calories for nursing because since he's older he is not nursing as much and some days it is hardly at all and some days it is a lot. Also it is notoriously hard to track and you never know if it's…
  • It WILL change the taste of your eggs unless you buy expeller pressed (no coconut flavor). Extra virgin coconut oil does have a slight coconut flavor. It's not overpowering by any means and when used in baked goods it is SO decadent (plus with the added flavor you can cut back on sugar content).
  • Oh, wow, no, Coconut oil is the BEST fat nutritionally-here are some links to some articles that can explain it better than I can. And go to your local library and check out the book "Real Food" by Nina Planck-fabulous! http://www.organicfacts.net/organic-oils/organic-coconut-oil/health-benefits-of-coconut-oil.html…
  • Coconut is one of the most healthy fats you can consume. It can be used for pretty much anything, including skin moisturizer-works wonders! I love to use it when baking-it can be used to subsitute for butter or any oil. The coconutty flavor adds depth and dimenstion to any baked goods. LOVE, love, love it in my pancakes. I…
  • Funny story, I did 100 yesterday in celebration of my FB page getting 100 likes (www.facebook.com/FatChickFedUp). Today, a fellow weight-loss blogger got to 1000 likes on her page and I jokingly challenged her to do 1000 jumping jacks and she is doing it over the course of this week! She did 300 today! Glad to hear there…
  • WOW! I didn't realize there were so many homeschoolers on here-feel free to friend me yall! I too am a Christian homeschool mom of 4. My kids are almost 9, 6, almost 3 and 15 months-so this year I will have a 4th grader, a 1st grader a pre-schooler and a toddler. I don't have good curriculum advice because we are pretty…
  • Another SAHM here. Sounds like you are on the right track. Feel free to add me.
  • I have had lots of people recommend that to me but I am very overweight. I have just started my journey and am doing well, but still have a long way to go. Is it designed for people of all fitness levels or should I start somewhere else first? Would love your recommendations! TIA
    in Turbofire Comment by HSmamato4 July 2011
  • Very helpful-thank you!